[Request]
Next, repeat only the lines below with the word "def2-TZVPD" in them.
[Source]
80
Properties=species:S:1:pos:R:3:forces:R:3:lowdin_charge:R:1 method="wB97M-V/def2-TZVPD" molar_mass_da=937.0 largest_force_ev_per_a=3.80 total_charge=+2 homo_lumo_gap_ev="4.6 / 4.6"
W 0.718 -0.539 -0.959 1.465 -0.751 -3.431 1.460
O 2.813 -5.456 -2.822 0.086 0.041 -0.642 0.071
C 2.681 -5.553 -1.483 -0.128 0.034 1.028 -0.270
C 3.038 -6.694 -0.769 -0.110 0.208 -0.257 0.001
C 2.883 -6.728 0.602 -0.036 0.196 0.052 -0.054
C 2.401 -5.620 1.287 -0.085 0.169 0.063 -0.065
C 2.066 -4.469 0.590 -0.002 -0.260 0.087 -0.026
C 2.188 -4.439 -0.788 -0.317 -0.124 -0.572 -0.116
C 1.855 -3.190 -1.566 1.605 -1.173 -0.536 -0.335
O 0.839 -2.434 -1.039 -1.096 0.143 0.433 -0.297
N 3.079 -2.335 -1.551 -0.426 0.069 0.332 0.098
N 2.708 -1.085 -1.291 -0.458 -0.007 0.042 -0.225
C 3.272 0.077 -1.396 -0.030 0.909 0.382 -0.127
C 2.299 1.068 -0.983 1.103 0.023 -0.305 -0.292
Br 0.671 -0.436 -3.474 -0.475 -0.059 0.465 0.401
C 2.771 2.354 -1.004 -0.756 -0.551 0.120 -0.029
C 2.113 3.550 -0.559 -0.187 0.427 0.179 -0.228
C 2.612 4.798 -0.960 -0.057 -0.287 0.015 -0.007
C 2.048 5.965 -0.488 -0.057 0.095 -0.015 -0.044
C 0.984 5.907 0.404 0.019 -0.110 -0.048 -0.038
C 0.483 4.676 0.815 0.005 0.060 0.011 -0.065
C 1.038 3.508 0.338 0.293 -0.142 -0.114 -0.086
H 3.107 -6.295 -3.205 -0.057 0.161 0.112 0.131
H 3.425 -7.548 -1.301 0.066 -0.174 -0.063 0.123
H 3.148 -7.621 1.146 0.031 -0.111 0.054 0.117
H 2.278 -5.664 2.357 0.018 0.027 0.141 0.108
H 1.689 -3.586 1.099 0.017 -0.151 0.071 0.110
H 1.618 -3.457 -2.617 -0.135 0.242 0.428 0.159
H 3.853 -2.557 -2.170 -0.150 0.356 -0.063 0.178
H 4.299 0.244 -1.725 -0.052 -0.048 -0.119 0.157
H 3.780 2.519 -1.381 0.032 -0.185 -0.017 0.129
H 3.433 4.832 -1.660 0.151 0.060 -0.031 0.122
H 2.440 6.920 -0.803 0.005 0.052 -0.020 0.119
H 0.553 6.818 0.787 -0.041 0.096 0.052 0.117
H -0.325 4.644 1.529 -0.115 0.004 0.116 0.109
H 0.714 2.537 0.700 0.019 0.183 0.040 0.059
C 2.759 1.476 3.752 0.074 -0.053 -0.170 -0.037
C 1.401 1.749 3.816 -0.095 -0.043 -0.051 -0.040
C 0.527 1.173 2.911 -0.080 -0.177 -0.363 -0.018
C 1.020 0.302 1.937 1.093 0.278 0.689 -0.288
C 2.384 -0.007 1.902 -0.288 -0.287 -0.152 -0.041
C 3.250 0.599 2.794 0.003 0.029 0.103 -0.040
N 0.202 -0.318 0.965 -3.166 -0.201 1.664 -0.160
N -1.006 -0.694 1.413 1.793 -0.551 -0.824 0.182
C -1.754 -1.315 0.475 -0.164 0.396 -0.598 -0.316
C -2.884 -2.067 0.861 -0.213 -0.042 0.171 0.025
C -3.574 -2.790 -0.082 -0.144 -0.120 0.672 -0.037
C -3.174 -2.783 -1.414 0.451 0.668 -0.025 0.001
C -2.101 -1.987 -1.818 0.021 0.207 -0.403 -0.111
C -1.377 -1.241 -0.901 0.953 -0.279 0.598 -0.276
H 3.436 1.937 4.454 0.049 0.038 0.068 0.120
H 1.024 2.419 4.573 -0.069 0.042 0.047 0.121
H -0.529 1.390 2.945 -0.164 0.033 0.016 0.101
H 2.742 -0.783 1.218 -0.049 0.321 0.254 0.105
H 4.304 0.370 2.768 0.063 -0.071 -0.012 0.119
H -3.144 -2.097 1.908 -0.187 0.026 0.113 0.133
H -4.432 -3.376 0.213 0.011 -0.083 0.070 0.127
H -3.696 -3.383 -2.143 -0.083 -0.085 -0.091 0.131
H -1.834 -1.977 -2.872 0.134 -0.064 0.143 0.092
C -3.497 1.249 2.346 -0.317 0.041 -0.626 -0.202
Ge -3.880 1.787 0.475 0.381 0.501 -0.212 0.858
C -4.754 0.459 -0.713 0.246 0.368 0.503 -0.187
C -4.867 3.499 0.463 0.117 -0.509 0.097 -0.207
C -2.086 2.506 -0.270 -0.753 -0.544 0.799 -0.509
Se -0.848 1.592 -1.448 -0.332 1.409 -0.723 0.939
C -2.084 1.449 -2.965 0.136 -0.590 -0.144 -0.310
H -4.437 1.098 2.870 -0.103 -0.033 0.067 0.031
H -2.974 2.062 2.842 0.075 0.142 0.032 0.020
H -2.903 0.346 2.425 0.019 -0.032 0.041 -0.024
H -5.413 -0.161 -0.113 -0.134 -0.062 0.071 0.027
H -4.057 -0.192 -1.222 0.206 -0.050 -0.067 -0.020
H -5.357 0.975 -1.454 -0.045 0.130 -0.068 0.031
H -5.840 3.382 0.932 -0.131 -0.021 0.079 0.028
H -5.029 3.850 -0.552 0.012 -0.019 -0.177 0.026
H -4.324 4.267 1.006 0.103 0.039 0.095 0.027
H -1.510 2.819 0.600 0.034 -0.008 -0.057 -0.016
H -2.347 3.414 -0.826 0.261 -0.191 -0.063 0.035
H -2.933 2.106 -2.781 0.157 -0.010 0.204 0.045
H -2.422 0.421 -3.084 -0.049 0.056 0.027 0.014
H -1.555 1.763 -3.865 0.034 -0.017 0.208 0.032
[Completed]
Properties=species:S:1:pos:R:3:forces:R:3:lowdin_charge:R:1 method="wB97M-V/def2-TZVPD" molar_mass_da=937.0 largest_force_ev_per_a=3.80 total_charge=+2 homo_lumo_gap_ev="4.6 / 4.6"